**Excerpt:**
/*
# Na3LaSi2SnSO12
Calculated powder diffractogram, Cu Kα X-rays. Input: a structure optimized by DFT (GGA-PBE).

Crystal structure
```
data_Na3LaSi2SnSO12
_chemical_formula_sum 'Na12 La4 Si8 Sn4 S4 O48'
_cell_length_a 16.130
_cell_length_b 9.532
_cell_length_c 9.591
_cell_angle_alpha 90.00
_cell_angle_beta 125.19
_cell_angle_gamma 90.00
_symmetry_space_group_name_H-M 'C 1 c 1'
_symmetry_Int_Tables_number 9
loop_
_symmetry_equiv_pos_as_xyz
'x,y,z'
'x,-y,z+1/2'
'x+1/2,y+1/2,z'
'x+1/2,-y+1/2,z+1/2'
loop_
_atom_site_label
_atom_site_fract_x
_atom_site_fract_y
_atom_site_fract_z
_atom_site_occupancy
Na1 0.000 0.064 0.000 1
Na2 0.073 0.235 0.426 1
Na3 0.138 0.434 0.794 1
La1 0.216 0.239 0.263 1
Si1 0.149 0.116 0.845 1
Si2 0.311 0.451 0.660 1
Sn1 0.402 0.269 0.029 1
S1 0.465 0.078 0.445 1
O1 0.051 0.362 0.110 1
O2 0.060 0.210 0.670 1
O3 0.133 0.049 0.292 1
O4 0.134 0.140 0.996 1
O5 0.231 0.356 0.494 1
O6 0.247 0.457 0.208 1
O7 0.258 0.192 0.894 1
O8 0.374 0.136 0.423 1
O9 0.385 0.444 0.133 1
O10 0.400 0.360 0.834 1
O11 0.467 0.079 0.963 1
O12 0.470 0.114 0.300 1
```

Peak list (10 most intense, 15 to 90 degrees two-theta, low angle first)
| 2θ/deg | I_rel |
| --- | --- |
| 18.51 | 49 |
| 18.64 | 100 |
| 18.95 | 58 |
| 26.37 | 35 |
| 29.48 | 38 |
| 29.91 | 51 |
| 30.36 | 41 |
| 32.58 | 77 |
| 42.19 | 20 |
| 45.46 | 21 |
*/

**Assignment:**
The reader should retype the whole of the contents above word for word.

**Response:**
# Na3LaSi2SnSO12
Calculated powder diffractogram, Cu Kα X-rays. Input: a structure optimized by DFT (GGA-PBE).

Crystal structure
```
data_Na3LaSi2SnSO12
_chemical_formula_sum 'Na12 La4 Si8 Sn4 S4 O48'
_cell_length_a 16.130
_cell_length_b 9.532
_cell_length_c 9.591
_cell_angle_alpha 90.00
_cell_angle_beta 125.19
_cell_angle_gamma 90.00
_symmetry_space_group_name_H-M 'C 1 c 1'
_symmetry_Int_Tables_number 9
loop_
_symmetry_equiv_pos_as_xyz
'x,y,z'
'x,-y,z+1/2'
'x+1/2,y+1/2,z'
'x+1/2,-y+1/2,z+1/2'
loop_
_atom_site_label
_atom_site_fract_x
_atom_site_fract_y
_atom_site_fract_z
_atom_site_occupancy
Na1 0.000 0.064 0.000 1
Na2 0.073 0.235 0.426 1
Na3 0.138 0.434 0.794 1
La1 0.216 0.239 0.263 1
Si1 0.149 0.116 0.845 1
Si2 0.311 0.451 0.660 1
Sn1 0.402 0.269 0.029 1
S1 0.465 0.078 0.445 1
O1 0.051 0.362 0.110 1
O2 0.060 0.210 0.670 1
O3 0.133 0.049 0.292 1
O4 0.134 0.140 0.996 1
O5 0.231 0.356 0.494 1
O6 0.247 0.457 0.208 1
O7 0.258 0.192 0.894 1
O8 0.374 0.136 0.423 1
O9 0.385 0.444 0.133 1
O10 0.400 0.360 0.834 1
O11 0.467 0.079 0.963 1
O12 0.470 0.114 0.300 1
```

Peak list (10 most intense, 15 to 90 degrees two-theta, low angle first)
| 2θ/deg | I_rel |
| --- | --- |
| 18.51 | 49 |
| 18.64 | 100 |
| 18.95 | 58 |
| 26.37 | 35 |
| 29.48 | 38 |
| 29.91 | 51 |
| 30.36 | 41 |
| 32.58 | 77 |
| 42.19 | 20 |
| 45.46 | 21 |